_Request_
Could you print only the last part of the notes underneath, starting with the line that has "Entry 3:"?

_Source_
+++
Entry 1:
{"formula": "ZnNi3", "functional": "PBE-GGA", "state": "relaxed", "cell": [[-1.805, 1.805, 3.507], [1.805, -1.805, 3.507], [1.805, 1.805, -3.507]], "species": ["Zn", "Ni", "Ni", "Ni"], "fractional_positions": [[0.000, 0.000, 0.000], [0.250, 0.750, 0.500], [0.500, 0.500, 0.000], [0.750, 0.250, 0.500]]}


Entry 2:
{"formula": "Cs2ScAgCl6", "functional": "PBE-GGA", "state": "relaxed", "cell": [[0.000, 5.301, 5.301], [5.301, 0.000, 5.301], [5.301, 5.301, 0.000]], "species": ["Cs", "Cs", "Sc", "Ag", "Cl", "Cl", "Cl", "Cl", "Cl", "Cl"], "fractional_positions": [[0.250, 0.250, 0.250], [0.750, 0.750, 0.750], [0.000, 0.000, 0.000], [0.500, 0.500, 0.500], [0.237, 0.237, 0.763], [0.237, 0.763, 0.237], [0.237, 0.763, 0.763], [0.763, 0.237, 0.237], [0.763, 0.237, 0.763], [0.763, 0.763, 0.237]], "total_magnetization_mub_per_cell": 0.00, "energy_corrected_mp2020_ev_per_cell": -43.56}


Entry 3:
{"formula": "TmZn", "functional": "PBE-GGA", "state": "relaxed", "cell": [[3.524, 0.000, 0.000], [0.000, 3.524, 0.000], [0.000, 0.000, 3.524]], "species": ["Tm", "Zn"], "fractional_positions": [[0.000, 0.000, 0.000], [0.500, 0.500, 0.500]]}


Entry 4:
{"formula": "B5Pb2ClO9", "functional": "PBE-GGA", "state": "relaxed", "cell": [[11.519, 0.000, 0.000], [0.000, 11.550, 0.000], [0.000, 0.000, 6.643]], "species": ["B", "B", "B", "B", "B", "B", "B", "B", "B", "B", "B", "B", "B", "B", "B", "B", "B", "B", "B", "B", "Pb", "Pb", "Pb", "Pb", "Pb", "Pb", "Pb", "Pb", "Cl", "Cl", "Cl", "Cl", "O", "O", "O", "O", "O", "O", "O", "O", "O", "O", "O", "O", "O", "O", "O", "O", "O", "O", "O", "O", "O", "O", "O", "O", "O", "O", "O", "O", "O", "O", "O", "O", "O", "O", "O", "O"], "fractional_positions": [[0.003, 0.246, 0.000], [0.178, 0.228, 0.222], [0.199, 0.317, 0.872], [0.218, 0.713, 0.055], [0.231, 0.541, 0.833], [0.269, 0.041, 0.333], [0.282, 0.213, 0.555], [0.301, 0.817, 0.372], [0.322, 0.728, 0.722], [0.497, 0.746, 0.500], [0.503, 0.254, 0.500], [0.678, 0.272, 0.722], [0.699, 0.183, 0.372], [0.718, 0.787, 0.555], [0.731, 0.959, 0.333], [0.769, 0.459, 0.833], [0.782, 0.287, 0.055], [0.801, 0.683, 0.872], [0.822, 0.772, 0.222], [0.997, 0.754, 0.000], [0.039, 0.747, 0.521], [0.241, 0.977, 0.850], [0.259, 0.477, 0.350], [0.461, 0.247, 0.021], [0.539, 0.753, 0.021], [0.741, 0.523, 0.350], [0.759, 0.023, 0.850], [0.961, 0.253, 0.521], [0.000, 0.000, 0.645], [0.000, 0.500, 0.403], [0.500, 0.000, 0.903], [0.500, 0.500, 0.145], [0.051, 0.214, 0.181], [0.072, 0.288, 0.848], [0.113, 0.769, 0.963], [0.184, 0.260, 0.436], [0.210, 0.583, 0.024], [0.222, 0.428, 0.776], [0.228, 0.319, 0.091], [0.229, 0.728, 0.272], [0.238, 0.117, 0.181], [0.262, 0.617, 0.681], [0.271, 0.228, 0.772], [0.272, 0.819, 0.591], [0.278, 0.928, 0.276], [0.290, 0.083, 0.524], [0.316, 0.760, 0.936], [0.387, 0.269, 0.463], [0.428, 0.788, 0.348], [0.449, 0.714, 0.681], [0.551, 0.286, 0.681], [0.572, 0.212, 0.348], [0.613, 0.731, 0.463], [0.684, 0.240, 0.936], [0.710, 0.917, 0.524], [0.722, 0.072, 0.276], [0.728, 0.181, 0.591], [0.729, 0.772, 0.772], [0.738, 0.383, 0.681], [0.762, 0.883, 0.181], [0.771, 0.272, 0.272], [0.772, 0.681, 0.091], [0.778, 0.572, 0.776], [0.790, 0.417, 0.024], [0.816, 0.740, 0.436], [0.887, 0.231, 0.963], [0.928, 0.712, 0.848], [0.949, 0.786, 0.181]], "total_magnetization_mub_per_cell": 0.00, "energy_corrected_mp2020_ev_per_cell": -520.73}
+++

_Done_
Entry 3:
{"formula": "TmZn", "functional": "PBE-GGA", "state": "relaxed", "cell": [[3.524, 0.000, 0.000], [0.000, 3.524, 0.000], [0.000, 0.000, 3.524]], "species": ["Tm", "Zn"], "fractional_positions": [[0.000, 0.000, 0.000], [0.500, 0.500, 0.500]]}


Entry 4:
{"formula": "B5Pb2ClO9", "functional": "PBE-GGA", "state": "relaxed", "cell": [[11.519, 0.000, 0.000], [0.000, 11.550, 0.000], [0.000, 0.000, 6.643]], "species": ["B", "B", "B", "B", "B", "B", "B", "B", "B", "B", "B", "B", "B", "B", "B", "B", "B", "B", "B", "B", "Pb", "Pb", "Pb", "Pb", "Pb", "Pb", "Pb", "Pb", "Cl", "Cl", "Cl", "Cl", "O", "O", "O", "O", "O", "O", "O", "O", "O", "O", "O", "O", "O", "O", "O", "O", "O", "O", "O", "O", "O", "O", "O", "O", "O", "O", "O", "O", "O", "O", "O", "O", "O", "O", "O", "O"], "fractional_positions": [[0.003, 0.246, 0.000], [0.178, 0.228, 0.222], [0.199, 0.317, 0.872], [0.218, 0.713, 0.055], [0.231, 0.541, 0.833], [0.269, 0.041, 0.333], [0.282, 0.213, 0.555], [0.301, 0.817, 0.372], [0.322, 0.728, 0.722], [0.497, 0.746, 0.500], [0.503, 0.254, 0.500], [0.678, 0.272, 0.722], [0.699, 0.183, 0.372], [0.718, 0.787, 0.555], [0.731, 0.959, 0.333], [0.769, 0.459, 0.833], [0.782, 0.287, 0.055], [0.801, 0.683, 0.872], [0.822, 0.772, 0.222], [0.997, 0.754, 0.000], [0.039, 0.747, 0.521], [0.241, 0.977, 0.850], [0.259, 0.477, 0.350], [0.461, 0.247, 0.021], [0.539, 0.753, 0.021], [0.741, 0.523, 0.350], [0.759, 0.023, 0.850], [0.961, 0.253, 0.521], [0.000, 0.000, 0.645], [0.000, 0.500, 0.403], [0.500, 0.000, 0.903], [0.500, 0.500, 0.145], [0.051, 0.214, 0.181], [0.072, 0.288, 0.848], [0.113, 0.769, 0.963], [0.184, 0.260, 0.436], [0.210, 0.583, 0.024], [0.222, 0.428, 0.776], [0.228, 0.319, 0.091], [0.229, 0.728, 0.272], [0.238, 0.117, 0.181], [0.262, 0.617, 0.681], [0.271, 0.228, 0.772], [0.272, 0.819, 0.591], [0.278, 0.928, 0.276], [0.290, 0.083, 0.524], [0.316, 0.760, 0.936], [0.387, 0.269, 0.463], [0.428, 0.788, 0.348], [0.449, 0.714, 0.681], [0.551, 0.286, 0.681], [0.572, 0.212, 0.348], [0.613, 0.731, 0.463], [0.684, 0.240, 0.936], [0.710, 0.917, 0.524], [0.722, 0.072, 0.276], [0.728, 0.181, 0.591], [0.729, 0.772, 0.772], [0.738, 0.383, 0.681], [0.762, 0.883, 0.181], [0.771, 0.272, 0.272], [0.772, 0.681, 0.091], [0.778, 0.572, 0.776], [0.790, 0.417, 0.024], [0.816, 0.740, 0.436], [0.887, 0.231, 0.963], [0.928, 0.712, 0.848], [0.949, 0.786, 0.181]], "total_magnetization_mub_per_cell": 0.00, "energy_corrected_mp2020_ev_per_cell": -520.73}